Watch our presentation and debate at the UNFCCC Conference of the Parties, COP24, hosted by Poland in December 2018.
What if we miss the target?
Current emissions pathways are taking us above the Paris Agreement goals. We presented the latest science on impacts of climate change at 1.5°C, 2°C and 4°C global warming at the UNFCCC Conference in Katowice, Poland.
HELIX supported the production of the IPCC Special Report on 1.5°C in several important ways. 1. The decision by the IPCC to go ahead with the report With the adoption of the Paris Agreement in 2015, the United Nations Framework Convention on Climate Change (UNFCCC) invited the IPCC to provide a Special Report in 2018 on […]
The Conversation featured article: Hothouse Earth: here’s what the science actually does – and doesn’t – say
A new scientific paper proposing a scenario of unstoppable climate change has gone viral, thanks to its evocative description of a “Hothouse Earth”. Richard Betts analyses its content. Much of the media coverage suggests that we face an imminent and unavoidable extreme climate catastrophe. But as a climate scientist who has carried out similar research myself, […]
HELIX members to contribute to all IPCC 6th Assessment Report Working Groups
The Intergovernmental Panel on Climate Change (IPCC) has invited more than 700 experts from 90 countries to participate in the Sixth Assessment Report (AR6) as Coordinating Lead Authors, Lead Authors and Review Editors. The Report will inform policymakers, international climate negotiators and other stakeholders about the latest knowledge on all aspects of climate change. The bureaux […]
Different degrees of adaptation measures applied in the impact models
Deliverable Report 4.4 by Rachel Warren of the University of East Anglia and HELIX co-authors
46
Properties=species:S:1:pos:R:3 method="wB97M-V/def2-TZVPD" largest_force_ha_per_bohr=0.1735 gap_ev="7.47 / 6.66" multiplicity=3 total_charge=+2 homo_ev="-15.6 / -15.9"
C 1.35577 1.96195 -1.05898
H 2.21242 2.26209 -0.43830
H 1.68226 1.76462 -2.08382
H 0.99720 -1.18251 0.55066
C 0.18846 2.90053 -0.92533
H -0.68928 2.31329 -1.23401
H 0.00982 3.23705 0.11310
C 0.36561 4.10981 -1.79564
H -0.47932 4.75021 -1.82345
H 1.17903 4.65097 -1.36579
H 0.58708 3.80653 -2.79445
C -0.81054 -1.70871 -0.08644
C -1.34223 -0.69793 -0.88848
C -0.40675 -0.41039 -1.94740
C 0.76640 -1.19899 -1.73150
C 0.61796 -1.89778 -0.43907
C 1.60205 -2.88935 0.14360
C 1.93841 -1.24800 -2.64385
C -0.76230 0.22209 -3.27362
C -2.79011 -0.26622 -0.88369
C -1.48998 -2.41242 1.02498
V 0.67272 0.11942 -0.16032
H 2.82759 -1.51000 -2.06727
H 1.81560 -1.98361 -3.45542
H 2.15231 -0.27114 -3.10440
H 2.62191 -2.58890 -0.13430
H 1.50274 -2.83466 1.23797
H 1.37432 -3.90045 -0.18766
H -2.29304 -1.81036 1.47944
H -1.93834 -3.32433 0.59796
H -0.77467 -2.72368 1.79656
H -2.97430 0.59090 -1.54397
H -3.49438 -1.07536 -1.15164
H -3.06189 0.06572 0.12180
H -0.05909 1.00071 -3.57819
H -0.77501 -0.52792 -4.08179
H -1.74044 0.71139 -3.26428
N -1.16645 0.98590 3.54680
C -0.20111 0.05649 3.90877
C 0.49930 -0.24113 2.79229
N -0.05101 0.50128 1.73564
C -1.06037 1.23132 2.21624
H -1.81581 1.44757 4.16949
H -0.06804 -0.30676 4.90606
H 1.32658 -0.92915 2.63954
H -1.69194 1.94243 1.68505


(1)
{
  "formula": "C17H20FN3O2",
  "method": "ωB97M-V with the def2-TZVPD basis set",
  "species": ["C", "C", "C", "C", "C", "O", "N", "C", "C", "C", "C", "N", "C", "C", "C", "C", "C", "C", "C", "F", "C", "N", "O", "H", "H", "H", "H", "H", "H", "H", "H", "H", "H", "H", "H", "H", "H", "H", "H", "H", "H", "H", "H"],
  "coordinates": [[2.530, 0.379, 4.318], [1.588, -0.371, 3.454], [0.385, -0.043, 2.894], [-0.001, -1.222, 2.201], [-1.236, -1.433, 1.394], [-1.911, -2.436, 1.441], [-1.540, -0.345, 0.643], [-2.481, -0.418, -0.457], [-3.450, 0.767, -0.448], [-2.715, 2.079, -0.723], [-1.830, 1.961, -1.965], [-0.925, 0.847, -1.776], [0.249, 0.804, -2.631], [1.303, 0.010, -1.902], [1.808, 0.475, -0.692], [2.714, -0.269, 0.039], [3.126, -1.510, -0.418], [2.642, -1.996, -1.618], [1.744, -1.230, -2.340], [1.280, -1.719, -3.513], [-1.666, -0.399, -1.753], [0.911, -2.148, 2.343], [1.895, -1.632, 3.109], [2.404, 0.077, 5.358], [2.342, 1.446, 4.239], [3.556, 0.162, 4.028], [-0.156, 0.875, 2.980], [-0.831, 0.364, 0.509], [-3.026, -1.360, -0.348], [-3.962, 0.818, 0.514], [-4.200, 0.598, -1.223], [-2.088, 2.331, 0.133], [-3.436, 2.886, -0.862], [-1.247, 2.877, -2.089], [-2.461, 1.831, -2.862], [0.605, 1.827, -2.780], [0.041, 0.362, -3.617], [1.476, 1.438, -0.332], [3.100, 0.118, 0.970], [3.818, -2.101, 0.161], [2.942, -2.959, -2.000], [-0.967, -1.237, -1.750], [-2.331, -0.503, -2.628]],
Assessment of regional climate change & effectiveness of pattern scaling approaches
Deliverable Report 2.4 by Craig Wallace and Tim Osborn of the Climatic Research Unit at the University of East Anglia and Jason Lowe and Ban Bernie of the UK Met Office Hadley Centre.
Climate change could raise food insecurity risk
Our research suggests that weather extremes caused by climate change could raise the risk of food shortages in many countries. We looked at the difference between global warming of 1.5°C and 2°C and found that – despite increased vulnerability to food insecurity in both scenarios – the effects could be worse for most countries at 2°C. […]
Guide with practical exercises to train researchers in the science of climate change communication
Based on their four years of HELIX training workshops around Europe and elsewhere on the practice and theory of the science of climate change communication, the Tyndall Centre for Climate Change Research and Climate Outreach have published this online resource A guide to the science of science communication
Some impacts of Climate Change are already locked-in
Others are not – we have a choice over whether we avoid them or not We are certain to see sea level rise, says Prof. Richard Betts. We already warmed the earth by 1oC relative to preindustrial levels but the full effect has not kicked in yet. It takes a long time for ice on […]
How to make complex graphs more understandable
We provide guidance for researchers on how the accessibility of data visuals can be enhanced while also maintaining scientific rigour. Data visuals support communication of climate change. Yet they can be difficult for diverse stakeholders in society to understand. Our new report provides twelve guidelines for putting our recommendations into practice that draw on cognitive and psychological science evidence […]
• What comes next are records of molecules, not part of the text:
- - -
# C25H28FeN5O5

A molecular structure, C25H28FeN5O5 (wB97M-V/def2-TZVPD, the OMol25 dataset).

Structure (XYZ):
```
64
Properties=species:S:1:pos:R:3:forces:R:3:nbo_charge:R:1
C 1.16018 -1.57234 3.69789 -0.0263 -0.0228 -0.0122 -0.01
H 1.08467 0.03142 5.09277 -0.0118 0.0191 -0.0008 0.24
C 2.54515 -2.97456 5.66535 0.0370 -0.0600 0.0406 -0.23
N -0.19425 0.26475 2.99682 -0.1839 0.1809 -0.1247 -0.45
C -3.40815 3.22208 1.10085 -0.0545 -0.0373 -0.1146 -0.19
H -1.14988 -1.54354 -0.81014 -0.0716 -0.1492 -0.0487 0.41
H -1.47493 2.67029 -3.18305 0.0542 -0.0921 0.0524 0.18
N 2.73164 0.24068 -1.47081 0.0191 0.1438 0.0960 -0.45
C -2.62956 2.06794 0.99674 0.1258 0.0760 0.0758 -0.20
Fe 0.16783 0.22712 0.00877 -0.2376 -0.0770 0.2482 1.53
H -5.37515 -0.79508 -0.82390 -0.0075 -0.0387 -0.0138 0.16
C -1.71285 1.70953 2.07217 0.3004 -0.4236 0.0933 0.08
H 2.63201 0.11304 -3.51706 -0.0920 -0.0612 -0.1278 0.18
H 0.48775 2.72654 -1.54057 0.0368 -0.0986 0.1008 0.38
O 0.43686 -1.33145 1.45063 0.1259 -0.2307 -0.2350 -0.83
C -0.73446 1.88778 -2.96842 0.0246 0.0171 -0.2310 -0.20
C -3.92781 1.41021 -0.92057 -0.1733 0.2667 -0.1606 0.19
C -0.25343 -0.54659 -3.46563 0.0568 -0.0857 -0.0312 -0.40
H -2.07963 0.52333 -3.99228 0.0469 0.0462 -0.1105 0.20
H -4.98533 4.41333 0.25604 -0.0123 0.0103 0.0051 0.20
O 3.72907 0.56103 1.90937 0.1136 -0.0094 -0.0276 -0.68
H 0.69835 -0.17258 -3.08867 0.0086 0.0680 -0.0250 0.21
C 3.52799 0.19970 -0.40500 0.1292 -0.0107 0.0165 0.11
C -4.66508 2.57270 -0.81743 -0.0263 -0.0887 -0.0546 -0.25
H 5.00794 -0.44790 -3.84257 0.0039 -0.0088 -0.0271 0.21
H -5.45950 2.72978 -1.53590 -0.0409 0.0112 -0.0326 0.21
H 2.63707 -4.57422 4.24025 0.0127 -0.0457 -0.0052 0.20
O 1.78200 1.07021 0.96068 -0.5382 0.2719 -0.6434 -0.82
H -4.66110 -1.39281 -2.34476 -0.0276 -0.0610 0.0271 0.17
C 1.42210 -0.98166 4.92817 -0.0557 0.0873 -0.0023 -0.18
C -4.40187 3.50532 0.18411 0.0417 -0.0285 0.0329 -0.28
O -2.07243 0.11238 -0.26634 0.2108 -0.0494 -0.1063 -0.85
C 2.96244 0.62929 0.95208 0.4479 -0.1154 0.2829 0.75
C 2.29236 -3.56732 4.43752 0.0111 -0.0058 0.0087 -0.23
H -1.88060 2.11941 3.07264 -0.0297 -0.0795 -0.0168 0.17
H 0.19411 -2.46385 -0.86542 0.0290 0.1676 0.0812 0.38
H -1.45604 -2.29181 -2.94252 0.0425 0.0722 0.0043 0.17
H -0.97593 2.28244 -0.97749 0.0226 0.1408 -0.0684 0.38
C -0.46893 -1.86254 -2.72689 0.2924 0.0078 -0.1988 -0.21
C -1.32980 0.50368 -3.20017 0.0123 -0.0206 0.1467 -0.45
C -2.82704 1.14170 -0.07117 0.0693 0.0904 0.2890 0.33
N -0.26003 -1.66273 -1.28887 -0.2146 -0.0406 0.3123 -0.90
H -3.22148 3.89514 1.92660 0.0282 0.0771 0.0932 0.20
C 5.43127 -0.39391 -1.72441 0.0433 -0.0244 -0.0490 -0.18
H 2.31943 -1.20576 6.85419 0.0156 0.0306 0.0740 0.20
C 4.87934 -0.13811 -0.48773 -0.1236 0.0241 0.0519 -0.22
H 3.08606 -3.51706 6.43174 0.0056 -0.0042 0.0012 0.20
O -4.24397 0.52641 -1.93136 0.0243 0.4025 -0.0899 -0.53
H 6.47786 -0.65567 -1.82102 0.0136 0.0051 -0.0039 0.21
C -4.48407 -0.77789 -1.46243 -0.0696 -0.5415 0.0972 -0.26
- - -
High-End Climate Change and the Ganga River Basin
What do 4 C and 6 C worlds look like in comparison to 2 C & 1.5 C? and What are the consequences of different adaptation choices? The core of our HELIX work has looked at the global scale, but there is an additional focus on three key regions of Europe, northern sub-Saharan Africa, and the Indian sub-continent. Ashvin Gossain […]
Food Security and Climate Change in Bangladesh
HELIX members organized a workshop on Food Security and Climate Change, in Dhaka, Bangladesh from 8 to 9 May 2017, aimed at providing a forum for scientists, food security experts, government officials and NGOs to come together and explore the major climate impacts on the availability, accessibility, utilization and stability of food for the people […]
Can we live with a warming planet? Final HELIX meeting, University of Exeter, 04 Oct
Everyone is welcome to join this event at the University of Exeter hosted by the HELIX project on 4 October 2017. Featuring a distinguished panel of project scientists and stakeholders, we invite you to hear about our findings and discuss what they could mean for our future. Our panel features the following expertise: Panel Chair: Dr Astrid Wissenburg, […]
The Conversation featured article: Glastonbury 2070? by HELIX Director, Richard Betts
Glastonbury 2070? How the festival might have to cope with 4℃ of global warming Richard Betts, University of Exeter Glastonbury, Britain’s largest and most famous music festival, is a great symbol of the many faces of the global climate change debate. It’s full of people enjoying life and relying on technology, easily available energy and […]
HELIX Director, Richard Betts, to talk climate change at Glastonbury
At the festival’s Speaker’s Forum, Richard Betts will discuss the science of climate change and take part in panel discussions and interviews with other prominent figures in the climate change debate. “Climate change is a complex topic with some important and fascinating science behind it,” says Professor Betts. “As we continue the debate on what […]
New book. Download High-End Climate Change in Europe
The three EU-funded sister projects on high-end climate change, HELIX, IMPRESSIONS and RISES-AM have drawn upon their wide range of expertise from many disciplines across the natural and social sciences to develop new understanding of the implications and risks of exceeding 20C, adapting to the climate changes. The new book, High-End Climate Change in Europe examines […]
Art engages people with climate change – our film
HELIX sponsored a major climate change communication event to engage the general public, seen by nearly 26k people. Respond: Climate Change was a unique exhibition in October 2017, bringing together four contemporary artists to explore the issue of climate change, in a very public space, at The Forum, during the fiurst Norwich Science Festival The […]
Saiful Islam’s Expectations from the Marrakesh Climate Summit
The Paris Agreement entered into force yesterday, as the minimum required number of countries ratified the Convention. Accounting together for at least an estimated 55% of the total global greenhouse gas emissions. Prof Saiful Islam of the Bangladesh University of Technology writes about his expections of the major follow-up meeting in Marrakesh, starting Monday 7 […]
Engaging children with climate change through Theatre
HELIX is sponsoring two major climate change communication events to engage the general public. On Saturday 22 October at the Norwich Science Festival in the UK is the participatory discovery trail Theatre for families, ‘You’re Getting Warmer‘ Hurry – we don’t have much time! The Three and a Half Degrees Gang are on their way, and […]
The hottest month in history
Under high-end scenarios, our regional temperature increase could be between 3.7°C and 5.7°C, writes Professor Saiful Islam of the Bangladesh University of Engineering and Technology (BUET), writing for the Dhaka Tribune with Meraz Mostafa. The hottest month in history
Here the entry breaks off for molecular data:
********
# C29H39O3S2SiTeTi

A structure of composition C29H39O3S2SiTeTi (ωB97M-V with the def2-TZVPD basis set, OMol25).

Properties
energy relative to the best compared isomer or geometry (same formula, charge and spin)	120.9	kJ/mol
total charge	+1
frontier orbital gap	7.239	eV
energy	-3557.29388	a.u.
largest force on an atom	0.75	eV/Å

XYZ file:
```
76
C29H39O3S2SiTeTi ωB97M-V with the def2-TZVPD basis set
Ti 0.271 -0.320 -0.142
C 0.572 -3.515 0.221
C 0.460 -2.089 0.695
O -0.718 -1.542 0.957
H -0.160 -4.136 0.741
H 1.565 -3.921 0.405
H 0.368 -3.580 -0.849
C 3.614 2.057 -1.981
S 3.005 1.291 -0.486
C 3.514 2.536 0.693
O 1.481 1.440 -0.561
H 4.695 2.159 -1.889
H 3.141 3.029 -2.110
H 3.375 1.397 -2.813
H 3.375 3.533 0.278
H 4.556 2.358 0.954
H 2.887 2.391 1.568
C -1.618 -0.045 7.219
C -0.807 -0.310 5.982
C -0.228 0.725 5.264
C 0.533 0.492 4.122
C 1.131 1.676 3.414
C 0.716 -0.826 3.696
Te 1.994 -1.262 2.055
C 0.137 -1.892 4.397
C 0.299 -3.325 3.973
C -0.617 -1.608 5.528
H -1.722 1.023 7.405
H -1.146 -0.496 8.094
H -2.616 -0.475 7.130
H -0.370 1.746 5.599
H 0.650 2.598 3.745
H 1.006 1.588 2.334
H 2.198 1.768 3.634
H -0.071 -3.477 2.959
H -0.259 -3.983 4.636
H 1.347 -3.631 3.993
H -1.069 -2.431 6.071
O -0.938 1.130 0.807
S -1.258 2.537 0.301
C -2.280 3.243 1.623
C -3.731 2.917 1.289
C -3.848 3.087 -0.223
C -2.677 2.313 -0.820
H -2.087 4.316 1.627
H -1.904 2.805 2.547
H -4.411 3.571 1.832
H -3.954 1.887 1.574
H -3.782 4.144 -0.490
H -4.791 2.709 -0.615
H -2.385 2.606 -1.827
H -2.848 1.235 -0.790
C -0.752 2.343 -5.653
C -1.279 1.069 -5.804
C -0.997 0.084 -4.868
C -0.184 0.345 -3.759
C 0.316 1.641 -3.614
C 0.045 2.626 -4.553
Si 0.006 -1.056 -2.501
C 0.464 -2.642 -3.401
C -0.457 -3.335 -4.194
C -0.094 -4.485 -4.877
C 1.200 -4.973 -4.775
C 2.123 -4.312 -3.979
C 1.757 -3.162 -3.296
H -0.963 3.110 -6.386
H -1.906 0.838 -6.655
H -1.414 -0.903 -5.022
H 0.901 1.894 -2.742
H 0.455 3.620 -4.425
H 1.383 -0.922 -1.640
H -1.482 -2.990 -4.272
H -0.824 -5.005 -5.484
H 1.486 -5.870 -5.307
H 3.133 -4.692 -3.889
H 2.493 -2.662 -2.676
```

Atom charges from the Löwdin analysis, given in e for atoms 1 to 4: number 1, Ti, carries 0.597; number 2, C, carries -0.092; number 3, C, carries -0.888; number 4, O, carries -0.252

# C29H40BClFeGe2N8

A structure of composition C29H40BClFeGe2N8 in a non-equilibrium geometry (ωB97M-V with the def2-TZVPD basis set, OMol25).

Properties
expectation value of S²	9.039
energy relative to the best compared isomer or geometry (same formula, charge and spin)	300.9	kJ/mol
total charge	+1
multiplicity	6
frontier orbital gap (alpha / beta)	4.958 / 6.828	eV
energy	-7469.39230	a.u.
largest force on an atom	1.72	eV/Å

XYZ file:
```
82
C29H40BClFeGe2N8 ωB97M-V with the def2-TZVPD basis set
Fe 0.687 -0.721 0.352
C 0.891 -0.802 4.618
C 0.321 -1.248 3.433
N 0.843 -0.589 2.394
N 1.748 0.283 2.894
C 1.794 0.171 4.227
B 2.580 1.222 1.961
N 3.452 0.302 1.047
C 4.770 0.206 0.806
C 4.990 -0.821 -0.089
C 3.722 -1.316 -0.366
N 2.799 -0.639 0.318
N 1.576 1.971 1.015
********
El Niño-driven record CO2 rise led to early passing of 400ppm
The rising concentration of atmospheric carbon dioxide has passed a symbolic threshold early due to the fastest annual increase on record The human-caused rise in atmospheric concentration of carbon dioxide is being given an extra boost this year by the natural climate phenomena of El Niño, say climate scientists in a paper published in today’s […]
What if we miss the target?
Watch our presentation at the UNFCCC conference.
How can we meet the 1.5°C target and what are the consequences if we don’t?
We invite COP24 attendees to attend our side event How can we meet the 1.5°C target and what are the consequences if we don’t? on Thursday 13 December, 16.00 – 17.30 in Vienna Room, EU Pavilion (Area E). Following our very popular UN side event today on high-end climate change impacts (click here to view the […]
Different degrees of adaptation measures applied in the impact models
Deliverable Report 4.4 by Rachel Warren of the University of East Anglia and HELIX co-authors